
Every review I have read for this game discusses the title as having a problem with forcing you to grind, a thing that has never been done in an AC game (according to reviews past 3, and my experience with games prior to 4), and expressly want you to pay extra money in order to keep up with the pace of the story.

Games like this made me appreciate Dragon Quest XI a LOT more. It’s nice to be able to dive into the game without worrying that I’ll miss out anything by not doing any micro transactions, because.. well... there’s none.

We live in the era of lootbox apologism.

exactly, if you can write an entire article based on what you think or dont think is grasping for money chances are its greedy as fuck. Like jim stirling said they dont want just SOME of the money, they want ALL of the money. They want to predotorize and introduce as many as possible to gambling addiction as possible

When I have to read an article to understand the Microtransaction bullshit mess... I just don’t bother buying the game in the first place. Certainly not full price. I can deal with a nice tidy, reasonably priced GOTY or whatever that bundles season pass and micro together but I can’t be bothered going through a list

obviously time-savers are optional, having fun is optional... hell, the entire game is optional.

WIthout any kind of hyperbole, the knowledge of these microtransactions, and how prevalent they are in the title, makes this a no-buy. I wanted to check out Origins when it became less expensive (I was burned by AC3 and haven’t played an AC title since), but the microtransactions seemed extreme.

I’m not inherently against Micro-transactions but I’m just so tired of them being everywhere and not being able to buy a game without having to research everything about it to make sure I’m getting what I paid for.

Thus far, I’ve not found leveling overly tedious (neither has my wife; we’re playing separate copies of the game on our PCs), but we both come from the JRPGs of the 80s/90s, so our expectations for progression (and the eventual curve that impacts that progression) are likely tempered by that experience.

That said,

funny you seem like the huff and puff type...

Not sure why, but that second image of with the demon made me think of Ivan Ooze.

But which one tastes better?

Records of crystals from another source follow >
- - -
No. 1
This entry pairs a crystal structure of Nd2CuSi with its simulated powder diffraction line list. Radiation: CuKα. Structure: a structure optimized by DFT (GGA-PBE).
Intensities are scaled so that the largest is 100.

Principal peaks in the range 5 to 70 degrees two-theta, in order of falling intensity:
Position (°2θ), d [Å], Rel. int.
32.00, 2.797, 100
31.62, 2.830, 97
28.62, 3.119, 90
38.86, 2.317, 76
35.06, 2.559, 76
26.16, 3.407, 59
37.90, 2.374, 55
27.39, 3.256, 45
55.21, 1.664, 42
43.74, 2.070, 42
52.14, 1.754, 39
59.23, 1.560, 29

Cell lengths 4.1393, 7.7554, 5.9965 Å; angles 90.00, 90.00, 90.00 degrees
Sites, in units of the cell vectors:
Nd 0.0000 0.0587 0.0000
Nd 0.0000 0.5903 0.2347
Nd 0.5000 0.4097 0.7347
Nd 0.5000 0.9413 0.5000
Cu 0.0000 0.2265 0.4514
Cu 0.5000 0.7735 0.9514
Si 0.0000 0.7035 0.7327
Si 0.5000 0.2965 0.2327



No. 2
This entry pairs a crystal structure of TmNi2 with its simulated powder diffraction line list. Radiation: CuKα. Structure: a structure optimized by DFT (GGA-PBE).
Intensities are scaled so that the largest is 100.

Principal peaks in the range 5 to 70 degrees two-theta, in order of falling intensity:
Position (°2θ), d [Å], Rel. int.
42.36, 2.134, 100
35.89, 2.502, 66
68.94, 1.362, 30
64.50, 1.445, 24
21.75, 4.086, 15
44.34, 2.043, 14
56.69, 1.624, 4
51.66, 1.769, 1

Cell lengths 5.0046, 5.0046, 5.0046 Å; angles 60.00, 60.00, 60.00 degrees
Sites, in units of the cell vectors:
Tm 0.1250 0.1250 0.1250
Tm 0.8750 0.8750 0.8750
Ni 0.0000 0.5000 0.5000
Ni 0.5000 0.0000 0.5000
Ni 0.5000 0.5000 0.0000
Ni 0.5000 0.5000 0.5000



No. 3
This entry pairs a crystal structure of Na4Al3Cd with its simulated powder diffraction line list. Radiation: CuKα. Structure: a structure optimized by DFT (GGA-PBE).
Intensities are scaled so that the largest is 100.

Principal peaks in the range 5 to 70 degrees two-theta, in order of falling intensity:
Position (°2θ), d [Å], Rel. int.
36.00, 2.495, 100
36.24, 2.479, 49
21.86, 4.065, 37
65.03, 1.434, 32
12.46, 7.104, 25
17.89, 4.957, 25
28.39, 3.143, 18
64.55, 1.444, 16
52.19, 1.753, 16
30.97, 2.887, 13
42.73, 2.116, 12
25.41, 3.505, 11

Cell lengths 4.9572, 4.9572, 7.1041 Å; angles 90.00, 90.00, 90.00 degrees
Sites, in units of the cell vectors:
Na 0.0000 0.0000 0.0000
Na 0.0000 0.5000 0.7505
Na 0.5000 0.0000 0.2495
Na 0.5000 0.5000 0.5000
Al 0.0000 0.0000 0.5000
Al 0.0000 0.5000 0.2578
Al 0.5000 0.0000 0.7422
Cd 0.5000 0.5000 0.0000



No. 4
This entry pairs a crystal structure of Dy2Tm2CF5 with its simulated powder diffraction line list. Radiation: CuKα. Structure: a structure optimized by DFT (GGA-PBE).
Intensities are scaled so that the largest is 100.

Principal peaks in the range 5 to 70 degrees two-theta, in order of falling intensity:
Position (°2θ), d [Å], Rel. int.
37.36, 2.407, 100
32.55, 2.751, 92
13.89, 6.377, 74
39.34, 2.290, 53
22.02, 4.036, 44
31.07, 2.878, 41
52.84, 1.732, 36
24.89, 3.578, 35
29.15, 3.063, 34
34.84, 2.575, 33
38.59, 2.333, 28
12.89, 6.870, 26
- - -

My wife and I have both been playing through the game--and both of us have come to learn the savagery of the Grecian Chicken.  Truly, they give Hyrule’s Cuccos a solid run for their money.

Where’s the link? If I click  on it I just get a bigger picture of Zelda.

Y’know if people would just pay for the chicken armor perk this sort of thing would happe 

I’d rather choke the chicken.

No shit!

And as you die, there is a tip in the “game over” screen:

I bet they’d taste great on a pizza.